That’s a really big “if”, especially when you consider how billionaires actively use their influence to maintain an underclass by fighting against government policies that would help lower-class people become middle-class.
That’s a really big “if”, especially when you consider how billionaires actively use their influence to maintain an underclass by fighting against government policies that would help lower-class people become middle-class.
It’s both. The mere fact that there are people with billions of dollars to throw around means a large amount of the world’s productive capacity is spent catering to the whims of billionaires when it could instead be spent on useful things for ordinary people. And because money is inseparable from politics, billionaires can more or less directly bend government policies to their will, greatly hindering anyone else from having a real say in government policy.
Google Maps was life-changing.
Also what I was taught in US Spanish classes.
- - -
A geometry-optimized LiBe2PbW structure, computed with GGA-PBE.

Calculated values
magnetic moment = 1.6 μB per formula unit
energy of formation = 1476.0 meV/atom

Cell lengths 4.230, 4.230, 4.429 Å; angles 90.00, 90.00, 90.00 degrees
Space group P4/mmm (No. 123)
Symmetry-distinct sites (fractional):
Li 0.000 0.000 0.000 x1
Be 0.000 0.500 0.000 x2
Pb 0.000 0.000 0.500 x1
W 0.500 0.500 0.500 x1
- - -
The only cost from piracy is opportunity cost.
Anyway, I didn’t see anyone in your post that supports the idea that piracy is rampant.
Or against, depending on your cultural values.
Jesus Christ, calm down. They’re not “fucking with” your phone by they’re asking you to use an app to perform your job duties. And I’d expect any employer to provide you with a suitable phone if you don’t want to use your own. Using your own personal phone is just a convenience for you, and having requirements that phone has to meet us perfectly reasonable.
The voice chat app?
Just because they haven’t told you about the requirements doesn’t mean they don’t exist. They probably don’t support custom ROMs and they didn’t tell you because they just assumed you’re running the OS that came with the phone.
Sounds like you’re using a phone that doesn’t meet the requirements specified by your employer. Might I suggest asking them for a company phone?
“But the plans were on display…”
“On display? I eventually had to go down to the cellar to find them.”
“That’s the display department.”
The page is interrupted by records of crystals:
........
Crystalline Y3CdIn2 at its relaxed geometry, computed with PBE.

a b c (Å): 3.741 3.741 11.396
angles (deg): 90.00 90.00 90.00
Space group P4/mmm (No. 123)
One atom of each set of equivalent atoms:
Y  0.000  0.000  0.000
Y  0.000  0.000  0.338
Cd  0.500  0.500  0.500
In  0.500  0.500  0.171

The value obtained for the density is 6.34 Mg/m³. The polymorph energy (0 for the lowest one) comes out at 0.008 eV per atom.


Crystalline Ce2Tl3NiSe6 at its relaxed geometry, computed with PBE.

a b c (Å): 7.174 12.281 8.116
angles (deg): 90.00 107.41 90.00
Space group C2/m (No. 12)
One atom of each set of equivalent atoms:
Ce  0.000  0.166  0.000
Tl  0.000  0.000  0.500
Tl  0.000  0.325  0.500
Ni  0.000  0.500  0.000
Se  0.216  0.348  0.192
Se  0.250  0.000  0.213

The value obtained for the density is 6.94 Mg/m³. The calculation puts the uncorrected formation energy at -0.92 eV per atom.


Crystalline Tb6Ho5Pu at its relaxed geometry, computed with PBE.

a b c (Å): 6.118 10.603 11.671
angles (deg): 90.00 100.10 90.00
Space group C2/m (No. 12)
One atom of each set of equivalent atoms:
Tb  0.247  0.000  0.252
Tb  0.248  0.165  0.748
Ho  0.000  0.167  0.000
Ho  0.000  0.334  0.500
Ho  0.000  0.500  0.000
Pu  0.000  0.000  0.500

The value obtained for the density is 9.01 Mg/m³. As for the total DFT energy (no corrections): -0.395 Ry/atom.


Crystalline RePPt at its relaxed geometry, computed with PBE.

a b c (Å): 5.965 5.965 5.965
angles (deg): 90.00 90.00 90.00
Space group F-43m (No. 216)
One atom of each set of equivalent atoms:
Re  0.000  0.000  0.000
P  0.000  0.000  0.500
Pt  0.250  0.250  0.750

The value obtained for the density is 12.90 Mg/m³. The polymorph energy (0 for the lowest one) comes out at 0.963 eV per atom.


Crystalline Tb4Dy3Y3 at its relaxed geometry, computed with PBE.

a b c (Å): 3.747 13.147 13.136
angles (deg): 90.00 90.00 90.00
Space group Amm2 (No. 38)
One atom of each set of equivalent atoms:
Tb  0.000  0.000  0.000
Tb  0.000  0.000  0.256
Tb  0.000  0.127  0.630
Dy  0.000  0.250  0.379
Dy  0.500  0.000  0.799
Y  0.500  0.000  0.458
Y  0.500  0.171  0.128

The value obtained for the density is 7.13 Mg/m³. As for the total DFT energy (no corrections): -0.373 Ry/atom.


Crystalline K2RbNb at its relaxed geometry, computed with PBE.

a b c (Å): 5.650 5.650 27.175
angles (deg): 90.00 90.00 90.00
Space group I-42d (No. 122)
One atom of each set of equivalent atoms:
K  0.223  0.250  0.125
Rb  0.000  0.000  0.500
Nb  0.000  0.000  0.000

The value obtained for the density is 1.96 Mg/m³. The polymorph energy (0 for the lowest one) comes out at 0.121 eV per atom.


Crystalline Na12Sr at its relaxed geometry, computed with PBE.

a b c (Å): 12.223 12.223 6.740
angles (deg): 90.00 90.00 90.00
Space group I4/mmm (No. 139)
One atom of each set of equivalent atoms:
Na  0.000  0.209  0.000
Na  0.000  0.353  0.500
Na  0.250  0.250  0.250
Sr  0.000  0.000  0.500
........
“With a flashlight.”
“Ah, well, the lights had probably gone.”
“So had the stairs.”
“But look, you found the notice, didn’t you?”
“Yes,” said Arthur, “yes I did. It was on display in the bottom of a locked filing cabinet stuck in a disused lavatory with a sign on the door saying ‘Beware of the Leopard.
From is run by Vogons!
Earth’s atmospheric pressure just doesn’t change as much as you seem to think it does.
Lenses for full size-cameras are made airtight. It’s not a problem.
Tangent: one if my roommates discovered a recipe for an avocado-based chocolate mouse. She hates it when I call it chocolate guacamole, guacolate, or chocomole.
What comes next are materials data, not part of the article >
/*
P) {"formula": "LiB3O", "functional": "PBE", "state": "optimized geometry", "density_g_cm3": 1.94, "lattice": [[3.622, 0.000, 0.000], [0.000, 3.622, 0.000], [0.000, 0.000, 3.622]], "species": ["Li", "B", "B", "B", "O"], "frac_coords": [[0.000, 0.000, 0.000], [0.000, 0.500, 0.500], [0.500, 0.000, 0.500], [0.500, 0.500, 0.000], [0.500, 0.500, 0.500]]}

Q) {"formula": "LiB3O", "functional": "PBE", "state": "optimized geometry", "density_g_cm3": 1.93, "lattice": [[3.626, 0.000, 0.000], [0.000, 3.626, 0.000], [0.000, 0.000, 3.626]], "species": ["Li", "B", "B", "B", "O"], "frac_coords": [[0.000, 0.000, 0.000], [0.000, 0.000, 0.500], [0.000, 0.500, 0.000], [0.500, 0.000, 0.000], [0.500, 0.500, 0.500]]}

Most stable to least stable: P), Q)

P) {"formula": "Li2BO", "functional": "PBE", "state": "optimized geometry", "density_g_cm3": 1.77, "lattice": [[5.345, 0.000, 0.000], [0.000, 5.345, 0.000], [0.000, 0.000, 5.345]], "species": ["Li", "Li", "Li", "Li", "Li", "Li", "Li", "Li", "B", "B", "B", "B", "O", "O", "O", "O"], "frac_coords": [[0.250, 0.250, 0.250], [0.250, 0.250, 0.750], [0.250, 0.750, 0.250], [0.250, 0.750, 0.750], [0.750, 0.250, 0.250], [0.750, 0.250, 0.750], [0.750, 0.750, 0.250], [0.750, 0.750, 0.750], [0.000, 0.000, 0.000], [0.000, 0.500, 0.500], [0.500, 0.000, 0.500], [0.500, 0.500, 0.000], [0.000, 0.000, 0.500], [0.000, 0.500, 0.000], [0.500, 0.000, 0.000], [0.500, 0.500, 0.500]]}

Q) {"formula": "Li2BO", "functional": "PBE", "state": "optimized geometry", "density_g_cm3": 1.45, "lattice": [[7.877, 0.000, 0.000], [0.000, 7.877, 0.000], [0.000, 0.000, 3.010]], "species": ["Li", "Li", "Li", "Li", "Li", "Li", "Li", "Li", "B", "B", "B", "B", "O", "O", "O", "O"], "frac_coords": [[0.078, 0.250, 0.125], [0.250, 0.578, 0.375], [0.250, 0.922, 0.875], [0.422, 0.250, 0.625], [0.578, 0.750, 0.625], [0.750, 0.078, 0.875], [0.750, 0.422, 0.375], [0.922, 0.750, 0.125], [0.000, 0.000, 0.500], [0.000, 0.500, 0.750], [0.500, 0.000, 0.250], [0.500, 0.500, 0.000], [0.000, 0.000, 0.000], [0.000, 0.500, 0.250], [0.500, 0.000, 0.750], [0.500, 0.500, 0.500]]}

Most stable to least stable: Q), P)
*/
Direct messaging apps are also social media.
How do you define social media in a way that includes DMs but doesn’t include basically all communication?
I have no idea what any of y’all are talking about.
Lots of people are saying it.
Elon is s Nazi. He’d probably have you euthanized if he could.
Did you know there’s a chain of clothing stores in the US named Banana Republic? Every time I think about it, it blows my mind that they could have chosen any name, and that’s what they went with.
You’re only as immortal as GRRM himself. Have you tried Brandon Sanderson? His work isn’t nearly as gritty as Martin’s, but his world building is top-notch, and he, um, actually writes.